*Chapter 2*

Jesse PoV
~2 weeks later~
I awoke to a rather loud and frantic knocking on my door. I groaned before throwing the duvet off me and dragging my butt out the bed. I headed towards my front door before opening it. I glared at Owen as he stood at my door with an innocent smile. "Good morning Jesse."

He kissed my cheek before moving into my home and heading towards the kitchen. I looked at the clock and noticed it was 7:13am.

"What the bloody hell do you think you're doing?" I growled, whilst making my way over to the coffee pot.
"Well, I'm waking you up and taking you with me to see me train the girls. You did promise that you'd come today." Owen stated, sipping on a glass of orange juice. "Arsehole." I mumbled before pouring myself a cup of coffee.
"Jesse.... You need to hurry up. I wanna go." Owen whined.

I glared at him before walking into my room and slamming the door. I placed my cup of coffee on my bedside table before moving into my bathroom. I splashed my face with some water and then combed my hair to somewhat tame it.
I threw it up into a messy bun and got changed into my leggings, shirt and jacket. I finished my coffee and emerged back into the kitchen to place the mug in the sink. I the made my way to my front door and grabbed my boots before slipping them on and grabbing my hat.

"Come on then Owen. Let's go!" I heard the scraping of a chair and a little whoop of joy before Owen grabbed my hand and dragged me towards his car.

3rd person PoV

[What comes next are records of crystals, not part of the entry]
+++
Structure and computed powder diffractogram of PrDyC4 (a structure optimized by DFT (PBE); a wavelength of 1.5418 Å).
Kinematic intensities with the Lorentz-polarization factor, no thermal factor.

Cell and atoms:
```
data_PrDyC4
_chemical_formula_sum 'Pr1 Dy1 C4'
_cell_length_a 3.7813
_cell_length_b 3.7813
_cell_length_c 6.3794
_cell_angle_alpha 90.00
_cell_angle_beta 90.00
_cell_angle_gamma 90.00
_space_group_name_H-M_alt 'P 4/m m m'
_space_group_IT_number 123
_space_group_name_Hall '-P 4 2'
loop_
_atom_site_label
_atom_site_type_symbol
_atom_site_fract_x
_atom_site_fract_y
_atom_site_fract_z
_atom_site_occupancy
Pr1 Pr 0.0000 0.0000 0.0000 1
Dy1 Dy 0.5000 0.5000 0.5000 1
C1 C 0.0000 0.0000 0.3987 1
C2 C 0.5000 0.5000 0.1025 1
```

Peak list (10 most intense, 2θ = 15–90°, most intense first)
two_theta, d/Å, I (rel.)
27.4, 3.253, 100
33.5, 2.674, 51
44.2, 2.049, 39
28.0, 3.190, 34
56.3, 1.635, 29
49.2, 1.853, 29
71.2, 1.324, 19
56.6, 1.626, 18
48.1, 1.891, 18
87.0, 1.120, 11

Structure and computed powder diffractogram of Dy12Re5C15 (a structure optimized by DFT (PBE); a wavelength of 1.5418 Å).
Kinematic intensities with the Lorentz-polarization factor, no thermal factor.

Cell and atoms:
```
data_Dy12Re5C15
_chemical_formula_sum 'Dy12 Re5 C15'
_cell_length_a 10.7366
_cell_length_b 10.7366
_cell_length_c 5.1042
_cell_angle_alpha 90.00
_cell_angle_beta 90.00
_cell_angle_gamma 120.00
_space_group_name_H-M_alt 'P -6 2 m'
_space_group_IT_number 189
_space_group_name_Hall 'P -6 -2'
loop_
_atom_site_label
_atom_site_type_symbol
_atom_site_fract_x
_atom_site_fract_y
_atom_site_fract_z
_atom_site_occupancy
Dy1 Dy 0.0000 0.4263 0.0000 1
Dy2 Dy 0.0000 0.7947 0.0000 1
Dy3 Dy 0.1857 0.7299 0.5000 1
Re1 Re 0.0000 0.1517 0.5000 1
Re2 Re 0.3333 0.6667 0.0000 1
C1 C 0.0000 0.3330 0.5000 1
C2 C 0.0000 0.4593 0.5000 1
C3 C 0.0000 0.7843 0.5000 1
C4 C 0.1895 0.7218 0.0000 1
```

Peak list (10 most intense, 2θ = 15–90°, most intense first)
two_theta, d/Å, I (rel.)
30.9, 2.895, 100
34.8, 2.579, 40
35.2, 2.552, 37
50.3, 1.814, 28
33.8, 2.649, 22
60.5, 1.531, 15
37.9, 2.376, 15
58.1, 1.588, 12
63.5, 1.465, 11
39.1, 2.302, 9

Structure and computed powder diffractogram of DyRe2SiC (a structure optimized by DFT (PBE); a wavelength of 1.5418 Å).
Kinematic intensities with the Lorentz-polarization factor, no thermal factor.

Cell and atoms:
```
data_DyRe2SiC
_chemical_formula_sum 'Dy4 Re8 Si4 C4'
_cell_length_a 3.9458
_cell_length_b 10.9030
_cell_length_c 7.3026
_cell_angle_alpha 90.00
_cell_angle_beta 90.00
_cell_angle_gamma 90.00
_space_group_name_H-M_alt 'C m c m'
_space_group_IT_number 63
_space_group_name_Hall '-C 2c 2'
loop_
_atom_site_label
_atom_site_type_symbol
_atom_site_fract_x
_atom_site_fract_y
_atom_site_fract_z
_atom_site_occupancy
Dy1 Dy 0.0000 0.0437 0.2500 1
Re1 Re 0.0000 0.3262 0.0608 1
Si1 Si 0.0000 0.2346 0.7500 1
C1 C 0.0000 0.5000 0.0000 1
```

Peak list (10 most intense, 2θ = 15–90°, most intense first)
two_theta, d/Å, I (rel.)
33.5, 2.673, 100
+++

A Pig could be heard squealing which soon appeared running through the raptor enclosure with Blue hot on its trail with Delta, Charlie and Echo following closely behind. The pig managed to escape by running through a door which closed immediately to prevent the raptors from following.
"Woah!" The raptors growled before coming to a halt. "Hey!" The raptors looked up and stared closely at who was talking to them before growing uninterested quickly.

"Okay," Owen used his clicker to gain their attention. "Eyes on me." Owen had requested. Charlie, Echo and Delta looked up instantly but Blue refused and started to make a fuss. "Blue.... Blue!" Owen snapped before Blue finally decided to look at him but gave out an irritated noise. "Watch it!" Owen warned before holding out his hand pointing it at Blue. Charlie then decided to call out. "Charlie. Hey! Don't give me that shit. Delta, lock it up. Good! And we're moving." Owen called out as he had successfully gained the raptors attention.

He moved towards a different railing with a bucket hanging on it, filled with dead rats as a treat for the girls, all the time clicking the clicker to keep the raptors attention on him. "Woah! Okay, that's good. That is damn good." Owen stated before reaching into the bucket to pull out a dead rat. "Very good. See? Charlie, that's what you get." Owen said proudly while throwing the rat at Charlie. "Echo, there you go. Delta."Owen threw the rat and did the same for Delta. Owen then picked out a rat and looked at Blue. "Blue... This ones for you." He threw the rat in that Blue effortlessly caught. Once the Raptors had finished their little snack Owen kept their attention on him. "Hold! Eyes up!" The raptors heads lifted up almost instantly before holding it in that position. "Go." Owen stated proudly before waving his arm down allowing the Raptors to run off.

Jesse PoV

Me and Barry approached Owen with huge smiles on our faces. Owen and Barry did some weird bro hug and I got a high five. "You finally did it man!" Barry stated while laughing gleefully. "Well done Owen! I'm so proud of you" I stated. Owen looked so happy that he finally got the girls to complete that simple training exercise.
"Owen!" We all turned to look and saw Vic Hoskins approach us.
"I was starting to think I hired the wrong guys but damn. You got them eating out of your palm." He states sounding impressed.
"You came on a good day. It's not usually a happy ending." Owen replied whilst shaking hands with Hoskins.
"Is that why you're not settling in your reports."
"We've been busy." Barry stated before having Hoskins reply quickly.
"Too busy to cash your pay cheques?" He said before playfully tapping Barry on the stomach. Owen then looked at me and Barry before turning back to Hoskins.
"What do you need buddy?" Owen asked. I knew he was dreading the answer from the tone of voice he used.
"A field test."
Owen rolled his eyes almost instantly before walking away. Hoskins followed as did I but I kept my distance not wanting to intrude on their conversation.
"Hey, I've just seen they can respond to commands. We need to take the research and get it on its feet."
"They're wild animals Hoskins. Trust me. You don't want them in the field." Owen carried on walking, trying to get away from this conversation.
"I just saw a bond. A real bond. Between man and beast!" Hoskins moved in front of Owen, now seeming desperate.
"You're in my way." Owen stated looking fed up.
"Come on." Hoskins sighed. "We're the same. We are dogs of war. We know that the military needs to reduce casualties. Some people think that robots are the future."
Owen pushed past him not wanting to hear it but Hoskins continues, refusing to give up.
"Look, nature gave us the most effective killing machines 75 million years ago and now we know they can take orders."
Barry over heard the conversation and looked at me. I made my way over to him and stood with him.
"We finally make progress with the raptors." Barry stated and I continued.
"He says make a weapon." I rolled my eyes before chuckling lightly. We then continued to walk.
"Oh come on gents. And lady." He said taking a cautious glance at me. I just glared at him.
"It's grown up time. Droids can't search tunnels and caves. And they're hackable! The minute the real war breaks out all that fancy tech is gonna go dark."
"Yeah but that techs not gonna eat them if they forget to feed it." Owen stated, making both me and Barry snicker, before taking a glance at the raptors and then we were being stopped by Hoskins.
"Look. Just look at these creatures. They've got millions of years of instinct in their cells. Instinct that we can program. Their loyalty can not be bought." Hoskins then began pointing at them.
"These guys are gonna run straight into the enemy's teeth and eat them, bone buckle and all."
Me and Barry looked at each other.
"What if they decide they wanna be in control?" I asked curiously. Hoskins turned to look at me before looking back at the raptors.
"We terminate the rogues. Promote only loyal bloodlines." Once Hoskins said that, Barry started chuckling and began to walk away.
"What?.... What's so funny?" Hoskins asked. Owen only shrugged and took a glance at me then at Hoskins.
"You come here and you don't learn anything about these animals except what you wanna know... You made them and now you think you own them." Hoskins looked at him and smirked. "We do own them. Extinct animals have no rights." Both me and Owen looked at him before we began to walk off. "They're not extinct anymore Hoskins." I stated and made my way down a set of stairs. Owen followed and grabbed a bucket off one of the workers.
"Exactly. We're sitting on a gold mine! And Masrani is using them to stock a petting zoo." Hoskins then begins to follow us as we continued our decent down the stairs.
"He just wants to teach people humility. He doesn't wanna make weapons."
Hoskins chuckled at what Owen said.
"You think that the 8th richest man in the world is only into telecom and family fun parks? He showed the first part, he doesn't even know what he owns." Me and Owen looked at each other and shook our heads.
"How long has InGen been practicing this pitch?" Owen called, whilst making his way into the cage.
"Since the day we hired you out of the navy. You knew the end game. These animals can replace thousands of troops on the ground. How many lives would that save?" Owen then locked the cage as Hoskins stood next to me and put the bucket away.
"Wars apart of nature. Look around Owen. Every living thing in this jungle is trying to murder the other. Mother natures way of testing her creation. Refining the pecking order. Wars a struggle and struggle breeds greatness. Without that we end up with places like this. Charging 7 bucks a soda." Owen then began to walk over towards us.
"And do you hear yourself when you talk?" Hoskins smirked and looked Owen right in the eye.
"This is gonna happen. With or without you boys. Progress always always wins man."
"Maybe progress should lose for once." I mumbled before I started to walk away.
"What was that sweetheart?" I heard Hoskins voice call from behind me.
"She said, maybe progress should lose for once." Owen stated before we all turned to look inside the raptor paddock as we once again heard a pig squealing.
"Pig loose! Pig loose!" We all looked up and watched in horror as Echo scooped up the pig, catching the pole in the process and pulling the worker over the railing and into the paddock. I gasp, my hands flying to my mouth as I noticed the remaining raptors Blue, Delta and Charlie advanced towards him. Owen looked on shocked before reacting quickly by opening up the gate and diving underneath it.
"Owen no!" I shouted trying to get him to come back but it was too late. Many men stood above the raptors on the walk way ready to shoot.
"Oh no! oh no! Hold your fire! Hold you fire! Do not fire! Put 12 amps in these animals and they'll never trust me again." He ran in front of the raptors and acted as a barrier between them and the worker as he stuck his arms out. Barry then went into the cage and pulled the worker in safety before stopping the gate from opening any further.
"Blue. Blue stand down. Stand down." Owen called but Blue snapped, ready to attack Owen.
"Hey! Hey! What did I just say? Delta.. I see you. Back up." Both raptors watched him while communicating with each other.
"Okay, good. Good. Charlie, stay right there. Good..... Close the gate." Owen called towards Barry.
"Are you crazy?!" Barry called, whilst looking at Owen as if he had two heads.
"Just trust me." The worker then piped up. "Close the gate!" He stated in a rather panicked and terrified tone of voice. Poor kid. Barry hesitated before he began to close the gate. Owen started to back up slowly with the raptors advancing forwards. At the last minute, Owen moved quickly and rolled underneath the gate, into safety, just before it shut completely. I ran into the caged area as Barry helped Owen up before I grabbed Owen and pulled him into a tight embrace.
"Don't you dare scare me like that again! I can't lose my best friend!" I felt Owens chest vibrate as he chuckled, holding me just as tightly.
"Don't worry Jesse. I'm not going anywhere." He kissed the top of my head before we both released each other. Owen then turned towards the worker.
"You're the new guy right?" He questioned. The worker only nodded.
"Yeah." He replied breathlessly. Owen nodded as I looked up at him and saw a glint in his eye.
"You ever wonder why there was a job opening?" Owen asked attempting to scare the kid. I believe it worked as his face turned to a look of horror as realisation dawned on him. "Yeah, don't ever turn you back to the cage." Me and Owen then began to walk away. I turned to look back and saw one of the girls trying to get at him before giving up and moving away. I feel so bad for him right now. I then looked to see why Owen had stopped walking and saw Hoskins smirk and nod slightly before walking away.
"I really don't like that guy." I stated whilst turning to look at Owen. Owen nodded before placing his arm around my shoulders in a friendly manner.
"Trust me, I don't either." My stomach soon interrupted us as it made a call for food. Owen chuckled as he opened the gate to the cage, to allow the worker and us to leave.
"Can we please go and get some food? I'm starving!" I asked as Owen locked the gate. He chuckled again as his arm resumed its position around my shoulders.
"Of course we can Jess. Of course we can."
